┌──
A 2-piece molecular cluster, CH3IO2S overall at a distorted geometry. Source: the Open Molecules 2025 dataset; level of theory: ωB97M-V with the def2-TZVPD basis set.

Values from the calculation:
* orbital gap (spin up / spin down): 5.685 / 5.597 eV
* calculated total energy: -886.01886 a.u.
* total charge: 0

Element x y z (Å)
C (1.1265, -0.3132, 0.0658)
O (0.1102, -0.1896, -0.9152)
O (-0.2343, 1.0079, -1.2448)
S (-2.4536, 1.2089, 0.8525)
I (-2.4350, -1.0036, 0.1137)
H (1.4938, -1.2908, 0.0409)
H (0.5884, -0.0283, 1.0859)
H (1.8040, 0.6089, 0.0012)

Results of the Mulliken charge analysis, in e, for atoms 1 through 4: -0.472 0.060 -0.318 -0.250



C48H51BaCl5N5O3Se as an isolated structure. Source: the Open Molecules 2025 dataset; level of theory: ωB97M-V with the def2-TZVPD basis set.

Values from the calculation:
* orbital gap: 6.042 eV
* calculated total energy: -7087.32698 a.u.
* total charge: -1

Element x y z (Å)
Ba (0.2306, 0.0207, 0.4377)
C (7.4874, 0.8606, -3.3237)
C (7.3123, -0.5173, -2.6677)
C (8.5875, -0.8348, -1.8852)
C (7.1541, -1.5789, -3.7661)
C (6.0746, -0.5114, -1.7746)
C (4.8270, -0.2497, -2.3289)
C (3.6786, -0.2553, -1.5637)
Se (2.0392, 0.1554, -2.4857)
C (1.3769, -1.5885, -2.9881)
C (1.9773, -2.1643, -4.0896)
C (1.6096, -3.4234, -4.5512)
C (0.5959, -4.0627, -3.8494)
C (-0.0521, -3.5280, -2.7385)
C (0.3265, -2.2371, -2.2614)
O (-0.2272, -1.6794, -1.2414)
C (-1.1669, -4.3861, -2.1133)
C (-1.8585, -3.7903, -0.8816)
C (-0.5855, -5.7433, -1.6812)
C (-2.2642, -4.6238, -3.1665)
C (2.3126, -4.0241, -5.7658)
C (3.8164, -4.1561, -5.4843)
C (1.7742, -5.4122, -6.1173)
C (2.1094, -3.1139, -6.9865)
C (3.6932, -0.5269, -0.1592)
O (2.5949, -0.5588, 0.5136)
C (4.9776, -0.7724, 0.4141)
C (6.1021, -0.7564, -0.4091)
C (5.2303, -1.0517, 1.9062)
C (3.9869, -1.1002, 2.8023)
C (5.9342, -2.4111, 2.0576)
C (6.1418, 0.0514, 2.4704)
H (8.3837, 0.8791, -3.9504)
H (7.5804, 1.6371, -2.5625)
H (6.6315, 1.1107, -3.9514)
H (9.4426, -0.8474, -2.5649)
H (8.5276, -1.8124, -1.4032)
H (8.7815, -0.0847, -1.1160)
H (8.0238, -1.5823, -4.4296)
H (6.2674, -1.3919, -4.3725)
H (7.0507, -2.5723, -3.3258)
H (4.7396, -0.0391, -3.3889)
H (2.7647, -1.6155, -4.5951)
H (0.2805, -5.0425, -4.1838)
H (-1.1566, -3.6162, -0.0686)
H (-2.6188, -4.5011, -0.5404)
H (-2.3397, -2.8399, -1.1011)
H (0.1891, -5.5975, -0.9261)
H (-0.1415, -6.2868, -2.5156)
H (-1.3713, -6.3707, -1.2505)
H (-2.6839, -3.6703, -3.4932)
H (-3.0727, -5.2266, -2.7426)
H (-1.8821, -5.1425, -4.0466)
H (3.9882, -4.8159, -4.6322)
H (4.2633, -3.1898, -5.2481)
H (4.3379, -4.5678, -6.3535)
H (1.9162, -6.1150, -5.2942)
H (2.3048, -5.8037, -6.9884)
H (0.7100, -5.3794, -6.3596)
H (2.5335, -2.1238, -6.8151)
H (1.0455, -2.9897, -7.1970)
H (2.5915, -3.5398, -7.8714)
H (7.0607, -0.9491, 0.0557)
H (3.2939, -1.8745, 2.4804)
H (3.4529, -0.1526, 2.7991)
H (4.3118, -1.3180, 3.8252)
H (5.2983, -3.2099, 1.6716)
H (6.1398, -2.6143, 3.1125)
H (6.8811, -2.4471, 1.5186)
H (5.6586, 1.0254, 2.3745)
H (7.0970, 0.0978, 1.9461)
H (6.3451, -0.1288, 3.5300)
N (-2.0422, 2.1911, -3.4963)
C (-1.3554, 2.0158, -2.3487)
N (-1.7712, 1.3850, -1.3118)
C (-3.0194, 0.7856, -1.3407)
N (-3.5333, 0.0935, -0.3931)
N (-2.6816, -0.2539, 0.6441)
C (-3.1032, -0.0041, 1.8113)
C (-2.3701, -0.4896, 2.9985)
C (-3.0034, -0.4075, 4.2351)
C (-2.3626, -0.9020, 5.3585)
C (-1.1083, -1.4666, 5.2148)
C (-0.5476, -1.5021, 3.9440)
N (-1.1548, -1.0318, 2.8654)
C (-3.8488, 0.9580, -2.5563)
C (-5.1293, 0.4145, -2.6809)
C (-5.8529, 0.5805, -3.8430)
C (-5.3113, 1.2923, -4.9112)
C (-4.0480, 1.8363, -4.8141)
C (-3.3234, 1.6654, -3.6365)
H (-1.5977, 2.6661, -4.2628)
H (-0.3637, 2.4581, -2.3232)
H (-4.0278, 0.5345, 2.0186)
H (-3.9822, 0.0471, 4.3110)
H (-2.8382, -0.8428, 6.3289)
H (-0.5621, -1.8645, 6.0583)
H (0.4420, -1.9185, 3.7905)
H (-5.5261, -0.1409, -1.8435)
H (-6.8429, 0.1528, -3.9290)
H (-5.8804, 1.4174, -5.8229)
H (-3.6117, 2.3877, -5.6379)
Cl (0.4485, 7.8697, 2.1567)
C (0.1509, 6.1713, 2.0523)
C (1.1569, 5.2959, 1.6321)
Cl (2.7049, 5.9287, 1.2103)
└──

Reproduce only the lines earlier on with the word "with" in them, please.

A 2-piece molecular cluster, CH3IO2S overall at a distorted geometry. Source: the Open Molecules 2025 dataset; level of theory: ωB97M-V with the def2-TZVPD basis set.
C48H51BaCl5N5O3Se as an isolated structure. Source: the Open Molecules 2025 dataset; level of theory: ωB97M-V with the def2-TZVPD basis set.